Excerpt
For AlGeAu2, a DFT-relaxed cell (PBE, Alexandria) gives the simulated PXRD pattern in this record (CuKα).
Peak positions follow from Bragg's law for the DFT cell and can differ from measured ones.

Largest 8 diffraction maxima, low angle first, 15 to 90 degrees two-theta:
2θ 21.90, d = 4.058 Å, I = 48
2θ 32.12, d = 2.787 Å, I = 56
2θ 35.22, d = 2.548 Å, I = 42
2θ 36.98, d = 2.431 Å, I = 100
2θ 41.35, d = 2.184 Å, I = 44
2θ 49.57, d = 1.839 Å, I = 22
2θ 56.84, d = 1.620 Å, I = 36
2θ 75.03, d = 1.266 Å, I = 27

Cell and atoms:
```
AlGeAu2
1.0
3.239 0.000 0.000
-1.620 2.805 0.000
0.000 0.000 24.350
Al Ge Au
3 3 6
direct
0.000 0.000 0.000
0.333 0.667 0.667
0.667 0.333 0.333
0.000 0.000 0.167
0.333 0.667 0.834
0.667 0.333 0.500
0.000 0.000 0.410
0.000 0.000 0.590
0.333 0.667 0.077
0.333 0.667 0.257
0.667 0.333 0.744
0.667 0.333 0.923
```

* * * * *

For Tb2Dy8Tl, the PBE geometry in Alexandria gives the computed X-ray powder pattern in this record (Cu Kα (λ = 1.5418 Å)).

Crystal structure
```
Tb2Dy8Tl
1.0
-2.7080 3.7682 8.5973
2.7080 -3.7682 8.5973
2.7080 3.7682 -8.5973
Tb Dy Tl
2 8 1
Cartesian
0.0000 0.0000 3.3219
0.0000 0.0000 13.8727
2.7080 1.7399 -2.3652
0.0000 1.7989 0.0000
2.7080 0.0000 5.4733
2.7080 1.7399 2.3652
0.0000 2.0283 6.2321
0.0000 3.7682 3.1240
0.0000 5.7375 0.0000
0.0000 2.0283 10.9625
0.0000 0.0000 8.5973
```

The 10 most intense peaks (15 to 90 degrees two-theta), in order of rising 2θ:
2theta	d_spacing	I/Imax
30.80	2.903	20
31.21	2.866	17
32.90	2.722	100
33.08	2.708	30
46.12	1.968	12
48.31	1.884	9
48.78	1.867	9
58.98	1.566	21
59.80	1.547	10
60.21	1.537	10

* * * * *

[1]
The following is a simulated XRD peak list of Tb2GdCo2B2P3. It was derived from a PBE-relaxed structure, using Cu Kα (λ = 1.5418 Å).
No peak broadening, texture or thermal motion is included.

Atomic structure:
Lattice parameters (Å, degrees): 11.2865 11.2865 11.2865 160.20 160.20 28.15
Fractional positions:
1 Tb 0.1386 0.1386 0.0000
2 Tb 0.8614 0.8614 0.0000
3 Gd 0.5000 0.5000 0.0000
4 Co 0.2500 0.7500 0.5000
5 Co 0.7500 0.2500 0.5000
6 B 0.2846 0.2846 0.0000
7 B 0.7154 0.7154 0.0000
8 P 0.0000 0.0000 0.0000
9 P 0.3744 0.3744 0.0000
10 P 0.6256 0.6256 0.0000

Peak list (12 most intense, 2θ = 5–70°, sorted by position)
| two_theta | Rel. int. |
| --- | --- |
| 26.0 | 100 |
| 30.8 | 24 |
| 32.7 | 96 |
| 33.7 | 26 |
| 36.6 | 29 |
| 41.2 | 57 |
| 46.8 | 67 |
| 51.6 | 20 |
| 54.3 | 28 |
| 58.3 | 34 |
| 68.4 | 14 |
| 69.1 | 21 |

---

[2]
The following is a simulated XRD peak list of Rb2Sb2Pt3. It was derived from a PBE-relaxed structure, using Cu Kα (λ = 1.5418 Å).
No peak broadening, texture or thermal motion is included.

Atomic structure:
Lattice parameters (Å, degrees): 11.8511 11.8511 11.8511 22.15 22.15 22.15
Fractional positions:
1 Rb 0.0000 0.0000 0.0000
2 Rb 0.4962 0.4962 0.4962
3 Sb 0.2481 0.2481 0.2481
4 Sb 0.7434 0.7434 0.7434
5 Pt 0.4042 0.4042 0.4042
6 Pt 0.5934 0.5934 0.5934
7 Pt 0.9011 0.9011 0.9011

Peak list (12 most intense, 2θ = 5–70°, sorted by position)
| two_theta | Rel. int. |
| --- | --- |
| 7.7 | 42 |
| 15.3 | 100 |
| 22.7 | 13 |
| 23.1 | 20 |
| 28.9 | 11 |
| 30.7 | 39 |
| 31.0 | 33 |
| 34.4 | 29 |
| 39.6 | 81 |
| 42.7 | 47 |
| 51.1 | 48 |
| 58.1 | 21 |

---

[3]
The following is a simulated XRD peak list of LaPrNi6B2Pd2. It was derived from a PBE-relaxed structure, using Cu Kα (λ = 1.5418 Å).
No peak broadening, texture or thermal motion is included.

Atomic structure:
Lattice parameters (Å, degrees): 5.1943 5.1943 7.2393 90.00 90.00 120.00
Fractional positions:
1 La 0.0000 0.0000 0.0000
2 Pr 0.0000 0.0000 0.5000
3 Ni 0.0000 0.5000 0.3071
4 Ni 0.0000 0.5000 0.6929
5 Ni 0.5000 0.0000 0.3071
6 Ni 0.5000 0.0000 0.6929
7 Ni 0.5000 0.5000 0.3071
8 Ni 0.5000 0.5000 0.6929
9 B 0.3333 0.6667 0.5000
10 B 0.6667 0.3333 0.5000
11 Pd 0.3333 0.6667 0.0000
12 Pd 0.6667 0.3333 0.0000

Peak list (12 most intense, 2θ = 5–70°, sorted by position)
| two_theta | Rel. int. |
| --- | --- |
| 24.6 | 9 |
| 31.7 | 42 |
| 34.5 | 36 |

Activity
Filter the calculation results further up: keep the lines with the word "Pt".

Response
5 Pt 0.4042 0.4042 0.4042
6 Pt 0.5934 0.5934 0.5934
7 Pt 0.9011 0.9011 0.9011